Next, work out how many lines below have the word "It" in them; a number is enough.

┌──
The following is a simulated powder XRD pattern of Sr2ThAgPd6. It was derived from DFT lattice parameters and positions (PBE), using a wavelength of 1.5418 Å.

The 12 most intense peaks (2θ from 10° to 90°), in order of rising 2θ:
17.32°, I = 60
24.59°, I = 32
30.23°, I = 36
35.05°, I = 100
39.34°, I = 30
43.28°, I = 14
50.40°, I = 70
53.70°, I = 15
59.91°, I = 14
62.87°, I = 24
74.05°, I = 11
84.64°, I = 31

Structural model:
```
Sr2ThAgPd6
1.0
0.000 5.121 5.121
5.121 0.000 5.121
5.121 5.121 0.000
Sr Th Ag Pd
2 1 1 6
direct
0.250 0.250 0.250
0.750 0.750 0.750
0.000 0.000 0.000
0.500 0.500 0.500
0.250 0.250 0.750
0.250 0.750 0.250
0.250 0.750 0.750
0.750 0.250 0.250
0.750 0.250 0.750
0.750 0.750 0.250
```

~~~~~

Computed powder diffractogram
Compound: Lu2O3
Radiation: Cu Kα
Structure: the PBE geometry in Alexandria

Structure:
a = 8.975 Å, b = 8.975 Å, c = 8.975 Å
α = 109.47°, β = 109.47°, γ = 109.47°
Positions (direct):
1 Lu 0.000 0.000 0.500
2 Lu 0.000 0.500 0.000
3 Lu 0.033 0.750 0.783
4 Lu 0.217 0.967 0.250
5 Lu 0.250 0.217 0.967
6 Lu 0.250 0.717 0.467
7 Lu 0.283 0.533 0.750
8 Lu 0.467 0.250 0.717
9 Lu 0.500 0.000 0.000
10 Lu 0.500 0.500 0.500
11 Lu 0.533 0.750 0.283
12 Lu 0.717 0.467 0.250
13 Lu 0.750 0.283 0.533
14 Lu 0.750 0.783 0.033
15 Lu 0.783 0.033 0.750
16 Lu 0.967 0.250 0.217
17 O 0.011 0.044 0.272
18 O 0.033 0.489 0.761
19 O 0.044 0.272 0.011
20 O 0.228 0.271 0.739
21 O 0.229 0.456 0.467
22 O 0.239 0.967 0.511
23 O 0.261 0.772 0.729
24 O 0.271 0.739 0.228
25 O 0.272 0.011 0.044
26 O 0.456 0.467 0.229
27 O 0.467 0.229 0.456
28 O 0.489 0.761 0.033
29 O 0.511 0.239 0.967
30 O 0.533 0.771 0.544
31 O 0.544 0.533 0.771
32 O 0.728 0.989 0.956
33 O 0.729 0.261 0.772
34 O 0.739 0.228 0.271
35 O 0.761 0.033 0.489
36 O 0.771 0.544 0.533
37 O 0.772 0.729 0.261
38 O 0.956 0.728 0.989
39 O 0.967 0.511 0.239
40 O 0.989 0.956 0.728

Principal peaks in the range 2θ = 10–80°, low angle first:
2θ (°), d/Å, I (rel.)
21.0, 4.231, 10
29.9, 2.992, 100
34.6, 2.591, 36
36.8, 2.443, 6
44.6, 2.032, 9
49.8, 1.832, 37
54.6, 1.681, 5
59.1, 1.562, 31
60.6, 1.528, 6
62.0, 1.496, 7

Computed powder diffractogram
Compound: CoTc5Ge6
Radiation: Cu Kα
Structure: the PBE geometry in Alexandria

Structure:
a = 5.081 Å, b = 5.081 Å, c = 8.037 Å
α = 96.23°, β = 96.23°, γ = 119.71°
Positions (direct):
1 Co 0.000 0.000 0.000
2 Tc 0.174 0.826 0.500
3 Tc 0.344 0.656 0.000
4 Tc 0.500 0.500 0.500
5 Tc 0.656 0.344 0.000
6 Tc 0.826 0.174 0.500
7 Ge 0.075 0.400 0.241
8 Ge 0.233 0.233 0.746
9 Ge 0.400 0.075 0.241
10 Ge 0.600 0.925 0.759
11 Ge 0.767 0.767 0.254
12 Ge 0.925 0.600 0.759

Principal peaks in the range 2θ = 10–80°, low angle first:
2θ (°), d/Å, I (rel.)
38.4, 2.345, 52
38.6, 2.331, 100
46.3, 1.962, 30
47.2, 1.925, 56
47.3, 1.923, 27
63.2, 1.471, 23
63.5, 1.465, 11
74.3, 1.277, 8
74.6, 1.272, 13
76.7, 1.242, 12

Computed powder diffractogram
Compound: Ca2BRh2
Radiation: Cu Kα
Structure: the PBE geometry in Alexandria

Structure:
a = 6.003 Å, b = 6.003 Å, c = 6.229 Å
α = 99.57°, β = 99.57°, γ = 57.65°
Positions (direct):
1 Ca 0.009 0.272 0.118
2 Ca 0.272 0.009 0.618
3 Ca 0.728 0.991 0.382
4 Ca 0.991 0.728 0.882
5 B 0.461 0.539 0.250
6 B 0.539 0.461 0.750
7 Rh 0.264 0.498 0.478
8 Rh 0.498 0.264 0.978
9 Rh 0.502 0.736 0.022
10 Rh 0.736 0.502 0.522

Principal peaks in the range 2θ = 10–80°, low angle first:
2θ (°), d/Å, I (rel.)
17.6, 5.049, 69
21.8, 4.084, 27
29.2, 3.058, 53
31.0, 2.882, 23
34.7, 2.582, 63
35.8, 2.511, 39
37.3, 2.414, 100
39.9, 2.261, 76
41.3, 2.188, 29
62.1, 1.495, 23

Question: What is the formula in the third record?
Answer: Ca2BRh2

~~~~~

(1)
Computed powder diffractogram of YMg for Cu Kα, from a crystal structure in the Materials Project, relaxed with PBE.
Peak positions follow from Bragg's law for the DFT cell and can differ from measured ones.

Structural model:
a b c (Å): 12.2822 3.4930 8.3123
angles (deg): 90.00 109.08 90.00
Space group Cm (No. 8)
Inequivalent atoms, fractional coordinates:
└──

1